## Given
<<<
{"formula": "C56H152HfN12O16", "method": "ωB97M-V/def2-TZVPD", "species": ["Hf", "C", "C", "O", "H", "H", "H", "H", "H", "C", "C", "O", "H", "H", "H", "H", "H", "C", "C", "O", "H", "H", "H", "H", "H", "C", "C", "O", "H", "H", "H", "H", "H", "C", "C", "C", "O", "C", "N", "H", "H", "H", "H", "H", "H", "H", "H", "H", "H", "H", "C", "C", "C", "O", "C", "N", "H", "H", "H", "H", "H", "H", "H", "H", "H", "H", "H", "C", "C", "C", "O", "C", "N", "H", "H", "H", "H", "H", "H", "H", "H", "H", "H", "H", "C", "C", "C", "O", "C", "N", "H", "H", "H", "H", "H", "H", "H", "H", "H", "H", "H", "C", "C", "C", "O", "C", "N", "H", "H", "H", "H", "H", "H", "H", "H", "H", "H", "H", "C", "C", "C", "O", "C", "N", "H", "H", "H", "H", "H", "H", "H", "H", "H", "H", "H", "C", "C", "C", "O", "C", "N", "H", "H", "H", "H", "H", "H", "H", "H", "H", "H", "H", "C", "C", "C", "O", "C", "N", "H", "H", "H", "H", "H", "H", "H", "H", "H", "H", "H", "C", "C", "C", "O", "C", "N", "H", "H", "H", "H", "H", "H", "H", "H", "H", "H", "H", "C", "C", "C", "O", "C", "N", "H", "H", "H", "H", "H", "H", "H", "H", "H", "H", "H", "C", "C", "C", "O", "C", "N", "H", "H", "H", "H", "H", "H", "H", "H", "H", "H", "H", "C", "C", "C", "O", "C", "N", "H", "H", "H", "H", "H", "H", "H", "H", "H", "H", "H"], "positions_angstrom": [[14.735, 11.040, 14.963], [12.705, 11.024, 11.125], [14.041, 11.045, 11.861], [13.700, 11.384, 13.200], [12.345, 12.042, 10.878], [11.963, 10.661, 11.806], [12.635, 10.459, 10.150], [14.809, 11.752, 11.364], [14.589, 10.100, 11.879], [16.043, 12.301, 19.061], [15.316, 12.571, 17.703], [15.581, 11.656, 16.646], [17.130, 12.324, 18.946], [15.729, 11.362, 19.449], [15.705, 12.983, 19.846], [15.617, 13.615, 17.281], [14.222, 12.634, 17.812], [11.170, 11.188, 17.587], [11.674, 10.567, 16.224], [12.966, 10.890, 15.894], [10.282, 10.681, 17.879], [11.112, 12.274, 17.475], [11.860, 10.946, 18.376], [10.976, 10.933, 15.478], [11.663, 9.467, 16.195], [17.253, 9.231, 11.971], [16.281, 8.700, 13.030], [15.975, 9.664, 14.074], [18.174, 9.609, 12.326], [16.794, 9.934, 11.287], [17.620, 8.396, 11.389], [16.802, 7.898, 13.504], [15.403, 8.358, 12.447], [19.643, 7.717, 15.514], [19.258, 8.462, 16.790], [20.075, 9.729, 17.003], [19.612, 10.495, 18.043], [19.705, 9.981, 19.325], [17.800, 8.873, 16.669], [19.865, 8.327, 14.620], [18.872, 7.004, 15.354], [20.588, 7.210, 15.702], [19.353, 7.742, 17.627], [20.087, 10.341, 16.147], [21.154, 9.485, 17.270], [20.745, 9.758, 19.658], [19.219, 8.984, 19.389], [19.099, 10.658, 19.978], [17.507, 9.030, 15.726], [17.534, 9.746, 17.168], [27.274, 8.882, 18.728], [26.215, 9.978, 18.750], [25.420, 9.905, 20.063], [24.501, 10.967, 20.256], [23.492, 11.123, 19.273], [26.862, 11.321, 18.635], [28.057, 9.138, 18.023], [26.881, 7.969, 18.312], [27.755, 8.716, 19.683], [25.606, 9.730, 17.908], [26.213, 10.093, 20.861], [24.943, 8.929, 20.105], [22.775, 11.931, 19.578], [22.923, 10.215, 19.103], [23.973, 11.401, 18.370], [26.161, 12.103, 18.755], [27.109, 11.438, 17.655], [9.579, 17.653, 22.166], [10.626, 17.101, 21.258], [10.255, 17.058, 19.747], [11.198, 16.407, 18.950], [11.633, 15.079, 19.231], [11.836, 17.965, 21.272], [9.875, 17.867, 23.175], [8.730, 16.908, 22.267], [9.283, 18.580, 21.803], [10.894, 16.024, 21.514], [10.274, 18.074, 19.364], [9.208, 16.689, 19.662], [12.024, 14.639, 18.312], [10.895, 14.419, 19.738], [12.483, 15.092, 19.898], [12.535, 17.665, 21.947], [12.256, 17.879, 20.329], [11.941, 13.597, 14.424], [13.326, 14.197, 14.203], [13.398, 15.669, 14.576], [12.713, 15.846, 15.788], [12.627, 17.142, 16.273], [14.285, 13.472, 15.044], [11.560, 13.519, 15.468], [11.977, 12.579, 13.989], [11.260, 14.066, 13.767], [13.638, 14.029, 13.215], [12.777, 16.332, 13.888], [14.418, 16.041, 14.532], [12.217, 17.126, 17.240], [12.024, 17.743, 15.612], [13.675, 17.617, 16.375], [13.850, 13.381, 15.975], [15.082, 14.043, 15.283], [25.014, 7.334, 13.982], [25.967, 8.505, 13.721], [25.345, 9.854, 13.598], [24.660, 10.240, 14.779], [24.276, 11.658, 14.717], [26.936, 8.571, 14.777], [25.495, 6.382, 13.943], [24.140, 7.379, 13.326], [24.577, 7.285, 14.962], [26.411, 8.299, 12.746], [24.552, 9.775, 12.801], [26.163, 10.472, 13.345], [23.633, 11.884, 13.834], [25.199, 12.202, 14.582], [23.830, 12.023, 15.614], [27.858, 8.709, 14.395], [26.618, 9.230, 15.474], [22.077, 16.225, 21.757], [21.487, 14.798, 21.973], [22.140, 14.090, 23.126], [21.349, 12.942, 23.536], [21.768, 12.321, 24.771], [20.067, 14.902, 22.330], [21.958, 16.882, 22.638], [21.570, 16.749, 20.898], [23.150, 16.043, 21.551], [21.524, 14.205, 20.984], [22.224, 14.749, 24.007], [23.121, 13.682, 22.917], [21.445, 12.889, 25.676], [22.902, 12.269, 24.799], [21.375, 11.338, 24.824], [19.542, 15.221, 21.580], [19.675, 13.944, 22.438], [18.498, 15.272, 26.376], [18.039, 14.951, 24.927], [18.017, 13.460, 24.679], [17.612, 13.137, 23.315], [17.314, 11.797, 23.179], [16.794, 15.688, 24.739], [17.721, 15.019, 27.094], [18.753, 16.346, 26.441], [19.399, 14.733, 26.592], [18.713, 15.447, 24.239], [17.467, 12.838, 25.361], [19.040, 13.115, 24.727], [16.475, 11.469, 23.807], [18.138, 11.064, 23.271], [16.822, 11.702, 22.196], [16.255, 15.492, 23.875], [16.114, 15.427, 25.508], [19.819, 13.837, 18.018], [19.449, 14.955, 17.044], [18.029, 15.407, 17.439], [17.669, 16.426, 16.470], [16.295, 16.839, 16.612], [20.550, 15.864, 16.928], [18.963, 13.275, 18.297], [20.191, 14.293, 18.937], [20.578, 13.112, 17.635], [19.268, 14.468, 16.067], [17.991, 15.749, 18.431], [17.311, 14.592, 17.310], [16.111, 17.402, 17.515], [15.627, 15.990, 16.486], [16.070, 17.520, 15.716], [20.400, 16.553, 16.145], [20.759, 16.418, 17.714], [18.698, 12.100, 14.866], [17.574, 12.999, 14.380], [18.112, 14.137, 13.448], [16.970, 14.887, 13.015], [17.367, 15.687, 11.909], [16.465, 12.266, 13.789], [18.219, 11.425, 15.600], [19.554, 12.616, 15.368], [19.056, 11.447, 14.009], [17.194, 13.547, 15.255], [18.594, 13.617, 12.590], [18.857, 14.821, 13.911], [18.142, 16.394, 12.283], [16.576, 16.195, 11.445], [17.830, 15.108, 11.151], [16.056, 12.897, 13.024], [16.951, 11.512, 13.300], [14.622, 6.414, 17.259], [14.809, 7.530, 16.213], [13.675, 7.301, 15.154], [13.578, 8.384, 14.217], [12.725, 8.121, 13.155], [14.825, 8.969, 16.647], [15.087, 5.461, 16.865], [13.563, 6.262, 17.663], [15.296, 6.567, 18.141], [15.746, 7.439, 15.760], [12.749, 7.211, 15.754], [13.798, 6.297, 14.699], [11.781, 7.704, 13.565], [13.280, 7.394, 12.431], [12.466, 9.087, 12.771], [15.701, 9.025, 17.240], [14.074, 8.992, 17.388], [15.085, 16.064, 20.167], [16.101, 17.015, 20.932], [15.395, 17.690, 22.133], [16.283, 18.410, 22.894], [15.723, 19.154, 23.952], [17.348, 16.263, 21.146], [14.232, 16.573, 19.679], [14.687, 15.318, 20.881], [15.751, 15.574, 19.464], [16.347, 17.833, 20.233], [14.860, 16.914, 22.751], [14.617, 18.293, 21.659], [14.946, 19.833, 23.629], [16.534, 19.682, 24.449], [15.314, 18.438, 24.687], [17.057, 15.436, 21.708], [17.983, 16.710, 21.839], [13.367, 8.177, 22.522], [13.671, 8.795, 21.209], [15.179, 8.760, 20.763], [15.663, 7.379, 20.816], [17.047, 7.329, 20.753], [12.881, 8.160, 20.138], [12.255, 7.988, 22.630], [13.807, 8.711, 23.347], [13.862, 7.217, 22.516], [13.361, 9.848, 21.114], [15.738, 9.344, 21.472], [15.280, 9.233, 19.826], [17.546, 8.032, 21.525], [17.389, 7.684, 19.780], [17.359, 6.336, 21.064], [12.975, 7.145, 20.295], [11.926, 8.406, 20.372]], "forces_ev_per_angstrom": [[-1.1697, -1.5476, -0.6484], [-0.0691, 0.3865, -1.8154], [0.2878, 0.7704, 0.6265], [1.0008, 0.0754, -0.9017], [0.4570, -0.2386, 0.1772], [-0.3773, -0.4455, 0.2568], [0.3754, 0.3257, 0.9948], [-1.1294, -0.4343, 0.6433], [-0.4384, -0.2639, -0.3669], [-0.6385, 0.5973, -1.1766], [0.8243, 1.0874, -1.3655], [1.1258, 0.8852, 2.1461], [-0.1661, 0.0054, 0.0651], [-0.0490, -1.1860, 0.0508], [0.2288, 0.4631, -0.3160], [-0.3410, -1.2987, 1.1281], [0.0537, -0.1504, 0.5031], [1.5541, -0.7188, -1.4473], [0.1584, 0.0404, 0.6876], [0.3881, 1.2017, 0.0785], [-1.2676, 0.0980, 0.0522], [-0.3662, -0.1853, 0.1577], [0.69
>>>

## To do
Could you write out everything earlier on exactly?

## Worked solution
{"formula": "C56H152HfN12O16", "method": "ωB97M-V/def2-TZVPD", "species": ["Hf", "C", "C", "O", "H", "H", "H", "H", "H", "C", "C", "O", "H", "H", "H", "H", "H", "C", "C", "O", "H", "H", "H", "H", "H", "C", "C", "O", "H", "H", "H", "H", "H", "C", "C", "C", "O", "C", "N", "H", "H", "H", "H", "H", "H", "H", "H", "H", "H", "H", "C", "C", "C", "O", "C", "N", "H", "H", "H", "H", "H", "H", "H", "H", "H", "H", "H", "C", "C", "C", "O", "C", "N", "H", "H", "H", "H", "H", "H", "H", "H", "H", "H", "H", "C", "C", "C", "O", "C", "N", "H", "H", "H", "H", "H", "H", "H", "H", "H", "H", "H", "C", "C", "C", "O", "C", "N", "H", "H", "H", "H", "H", "H", "H", "H", "H", "H", "H", "C", "C", "C", "O", "C", "N", "H", "H", "H", "H", "H", "H", "H", "H", "H", "H", "H", "C", "C", "C", "O", "C", "N", "H", "H", "H", "H", "H", "H", "H", "H", "H", "H", "H", "C", "C", "C", "O", "C", "N", "H", "H", "H", "H", "H", "H", "H", "H", "H", "H", "H", "C", "C", "C", "O", "C", "N", "H", "H", "H", "H", "H", "H", "H", "H", "H", "H", "H", "C", "C", "C", "O", "C", "N", "H", "H", "H", "H", "H", "H", "H", "H", "H", "H", "H", "C", "C", "C", "O", "C", "N", "H", "H", "H", "H", "H", "H", "H", "H", "H", "H", "H", "C", "C", "C", "O", "C", "N", "H", "H", "H", "H", "H", "H", "H", "H", "H", "H", "H"], "positions_angstrom": [[14.735, 11.040, 14.963], [12.705, 11.024, 11.125], [14.041, 11.045, 11.861], [13.700, 11.384, 13.200], [12.345, 12.042, 10.878], [11.963, 10.661, 11.806], [12.635, 10.459, 10.150], [14.809, 11.752, 11.364], [14.589, 10.100, 11.879], [16.043, 12.301, 19.061], [15.316, 12.571, 17.703], [15.581, 11.656, 16.646], [17.130, 12.324, 18.946], [15.729, 11.362, 19.449], [15.705, 12.983, 19.846], [15.617, 13.615, 17.281], [14.222, 12.634, 17.812], [11.170, 11.188, 17.587], [11.674, 10.567, 16.224], [12.966, 10.890, 15.894], [10.282, 10.681, 17.879], [11.112, 12.274, 17.475], [11.860, 10.946, 18.376], [10.976, 10.933, 15.478], [11.663, 9.467, 16.195], [17.253, 9.231, 11.971], [16.281, 8.700, 13.030], [15.975, 9.664, 14.074], [18.174, 9.609, 12.326], [16.794, 9.934, 11.287], [17.620, 8.396, 11.389], [16.802, 7.898, 13.504], [15.403, 8.358, 12.447], [19.643, 7.717, 15.514], [19.258, 8.462, 16.790], [20.075, 9.729, 17.003], [19.612, 10.495, 18.043], [19.705, 9.981, 19.325], [17.800, 8.873, 16.669], [19.865, 8.327, 14.620], [18.872, 7.004, 15.354], [20.588, 7.210, 15.702], [19.353, 7.742, 17.627], [20.087, 10.341, 16.147], [21.154, 9.485, 17.270], [20.745, 9.758, 19.658], [19.219, 8.984, 19.389], [19.099, 10.658, 19.978], [17.507, 9.030, 15.726], [17.534, 9.746, 17.168], [27.274, 8.882, 18.728], [26.215, 9.978, 18.750], [25.420, 9.905, 20.063], [24.501, 10.967, 20.256], [23.492, 11.123, 19.273], [26.862, 11.321, 18.635], [28.057, 9.138, 18.023], [26.881, 7.969, 18.312], [27.755, 8.716, 19.683], [25.606, 9.730, 17.908], [26.213, 10.093, 20.861], [24.943, 8.929, 20.105], [22.775, 11.931, 19.578], [22.923, 10.215, 19.103], [23.973, 11.401, 18.370], [26.161, 12.103, 18.755], [27.109, 11.438, 17.655], [9.579, 17.653, 22.166], [10.626, 17.101, 21.258], [10.255, 17.058, 19.747], [11.198, 16.407, 18.950], [11.633, 15.079, 19.231], [11.836, 17.965, 21.272], [9.875, 17.867, 23.175], [8.730, 16.908, 22.267], [9.283, 18.580, 21.803], [10.894, 16.024, 21.514], [10.274, 18.074, 19.364], [9.208, 16.689, 19.662], [12.024, 14.639, 18.312], [10.895, 14.419, 19.738], [12.483, 15.092, 19.898], [12.535, 17.665, 21.947], [12.256, 17.879, 20.329], [11.941, 13.597, 14.424], [13.326, 14.197, 14.203], [13.398, 15.669, 14.576], [12.713, 15.846, 15.788], [12.627, 17.142, 16.273], [14.285, 13.472, 15.044], [11.560, 13.519, 15.468], [11.977, 12.579, 13.989], [11.260, 14.066, 13.767], [13.638, 14.029, 13.215], [12.777, 16.332, 13.888], [14.418, 16.041, 14.532], [12.217, 17.126, 17.240], [12.024, 17.743, 15.612], [13.675, 17.617, 16.375], [13.850, 13.381, 15.975], [15.082, 14.043, 15.283], [25.014, 7.334, 13.982], [25.967, 8.505, 13.721], [25.345, 9.854, 13.598], [24.660, 10.240, 14.779], [24.276, 11.658, 14.717], [26.936, 8.571, 14.777], [25.495, 6.382, 13.943], [24.140, 7.379, 13.326], [24.577, 7.285, 14.962], [26.411, 8.299, 12.746], [24.552, 9.775, 12.801], [26.163, 10.472, 13.345], [23.633, 11.884, 13.834], [25.199, 12.202, 14.582], [23.830, 12.023, 15.614], [27.858, 8.709, 14.395], [26.618, 9.230, 15.474], [22.077, 16.225, 21.757], [21.487, 14.798, 21.973], [22.140, 14.090, 23.126], [21.349, 12.942, 23.536], [21.768, 12.321, 24.771], [20.067, 14.902, 22.330], [21.958, 16.882, 22.638], [21.570, 16.749, 20.898], [23.150, 16.043, 21.551], [21.524, 14.205, 20.984], [22.224, 14.749, 24.007], [23.121, 13.682, 22.917], [21.445, 12.889, 25.676], [22.902, 12.269, 24.799], [21.375, 11.338, 24.824], [19.542, 15.221, 21.580], [19.675, 13.944, 22.438], [18.498, 15.272, 26.376], [18.039, 14.951, 24.927], [18.017, 13.460, 24.679], [17.612, 13.137, 23.315], [17.314, 11.797, 23.179], [16.794, 15.688, 24.739], [17.721, 15.019, 27.094], [18.753, 16.346, 26.441], [19.399, 14.733, 26.592], [18.713, 15.447, 24.239], [17.467, 12.838, 25.361], [19.040, 13.115, 24.727], [16.475, 11.469, 23.807], [18.138, 11.064, 23.271], [16.822, 11.702, 22.196], [16.255, 15.492, 23.875], [16.114, 15.427, 25.508], [19.819, 13.837, 18.018], [19.449, 14.955, 17.044], [18.029, 15.407, 17.439], [17.669, 16.426, 16.470], [16.295, 16.839, 16.612], [20.550, 15.864, 16.928], [18.963, 13.275, 18.297], [20.191, 14.293, 18.937], [20.578, 13.112, 17.635], [19.268, 14.468, 16.067], [17.991, 15.749, 18.431], [17.311, 14.592, 17.310], [16.111, 17.402, 17.515], [15.627, 15.990, 16.486], [16.070, 17.520, 15.716], [20.400, 16.553, 16.145], [20.759, 16.418, 17.714], [18.698, 12.100, 14.866], [17.574, 12.999, 14.380], [18.112, 14.137, 13.448], [16.970, 14.887, 13.015], [17.367, 15.687, 11.909], [16.465, 12.266, 13.789], [18.219, 11.425, 15.600], [19.554, 12.616, 15.368], [19.056, 11.447, 14.009], [17.194, 13.547, 15.255], [18.594, 13.617, 12.590], [18.857, 14.821, 13.911], [18.142, 16.394, 12.283], [16.576, 16.195, 11.445], [17.830, 15.108, 11.151], [16.056, 12.897, 13.024], [16.951, 11.512, 13.300], [14.622, 6.414, 17.259], [14.809, 7.530, 16.213], [13.675, 7.301, 15.154], [13.578, 8.384, 14.217], [12.725, 8.121, 13.155], [14.825, 8.969, 16.647], [15.087, 5.461, 16.865], [13.563, 6.262, 17.663], [15.296, 6.567, 18.141], [15.746, 7.439, 15.760], [12.749, 7.211, 15.754], [13.798, 6.297, 14.699], [11.781, 7.704, 13.565], [13.280, 7.394, 12.431], [12.466, 9.087, 12.771], [15.701, 9.025, 17.240], [14.074, 8.992, 17.388], [15.085, 16.064, 20.167], [16.101, 17.015, 20.932], [15.395, 17.690, 22.133], [16.283, 18.410, 22.894], [15.723, 19.154, 23.952], [17.348, 16.263, 21.146], [14.232, 16.573, 19.679], [14.687, 15.318, 20.881], [15.751, 15.574, 19.464], [16.347, 17.833, 20.233], [14.860, 16.914, 22.751], [14.617, 18.293, 21.659], [14.946, 19.833, 23.629], [16.534, 19.682, 24.449], [15.314, 18.438, 24.687], [17.057, 15.436, 21.708], [17.983, 16.710, 21.839], [13.367, 8.177, 22.522], [13.671, 8.795, 21.209], [15.179, 8.760, 20.763], [15.663, 7.379, 20.816], [17.047, 7.329, 20.753], [12.881, 8.160, 20.138], [12.255, 7.988, 22.630], [13.807, 8.711, 23.347], [13.862, 7.217, 22.516], [13.361, 9.848, 21.114], [15.738, 9.344, 21.472], [15.280, 9.233, 19.826], [17.546, 8.032, 21.525], [17.389, 7.684, 19.780], [17.359, 6.336, 21.064], [12.975, 7.145, 20.295], [11.926, 8.406, 20.372]], "forces_ev_per_angstrom": [[-1.1697, -1.5476, -0.6484], [-0.0691, 0.3865, -1.8154], [0.2878, 0.7704, 0.6265], [1.0008, 0.0754, -0.9017], [0.4570, -0.2386, 0.1772], [-0.3773, -0.4455, 0.2568], [0.3754, 0.3257, 0.9948], [-1.1294, -0.4343, 0.6433], [-0.4384, -0.2639, -0.3669], [-0.6385, 0.5973, -1.1766], [0.8243, 1.0874, -1.3655], [1.1258, 0.8852, 2.1461], [-0.1661, 0.0054, 0.0651], [-0.0490, -1.1860, 0.0508], [0.2288, 0.4631, -0.3160], [-0.3410, -1.2987, 1.1281], [0.0537, -0.1504, 0.5031], [1.5541, -0.7188, -1.4473], [0.1584, 0.0404, 0.6876], [0.3881, 1.2017, 0.0785], [-1.2676, 0.0980, 0.0522], [-0.3662, -0.1853, 0.1577], [0.69